![]() Glimpses
of Grayson County from the Early Days
When the publication of this book
was first contemplated, I had thought to make it merely a souvenir for
year's "Old Settlers" meeting, but I find that one small pamphlet
will not more than make a good beginning for a biographic history of
the early
settlers of Grayson County, so I have determined to issue it in
giving sketches of biography and history, as frequently as the data can
collected, together with portraits, views, etc., until the story is all
A limited number has been published, but should the demand for it be greater than the supply, another editing will be issued. For kindly help in this work, I am indebted to many friends, but for this number, especially to Dr. W. H. Trolinger of Whitesboro, and Tom Randolph of Sherman. Yours faithfully, Tom Bomar Introductory
To write the history of the early
settlement of any portion of Texas is a task
that would cause even a bolder narrator than him, who in these pages
attempt to tell the story of the early days of Grayson, to shrink from
undertaking. But some one must do this duty, that the memories of the
pioneers who have given us this "goodly heritage," may be perpetuated,
and that
future generations may know the true history of those days of storm and
light and shadow: fraught with dangers, yet brightened by that
sublimest of
human attributes -hope.
When the pioneer settler crossed the Red River and looked toward the south, the west, and the east, he saw spread out before him a country teeming with myriads of richest hued flowers which wafted on the air such sweet perfumes that even the craftiest handiwork of the oriental world has never equaled, beautiful undulating prairies, mighty forests and hundreds of limpid streams. Prairies and forest abounded with game, deer, bear, antelope, buffalo, wild turkeys; and the rich virgin soil only needed the work of his hands to make it bring forth great harvests for his sustenance. But with all this charming and pleasant prospect came the dangers from the dreaded savages who roamed at will in this lovely flower and emerald carpeted garden of the western world. The sun shone on no fairer landscape than that now within the bounds of Grayson County, and the brave men and women who periled their lives to possess it for their posterity are deserving of the most grateful remembrance from the generations who now enjoy the fruits of their heroism. They were simple and unassuming people, honest and hospitable, and were, in a large measure, unsuspicious of others. Their doors were always open to the stranger, and many people living today will attest of the thousands of good deeds done by those early settlers in assisting those who came among them seeking for homes. They were, with all their hardships, a vigilant and watchful people, and divided their time between the field and the chase, oftentimes leaving the plow in the half-run furrow to repel the assaults of some raiding band of Indians, or to pursue some ravenous animal that would make havoc among their flocks and herds. In those days settlements were often many miles apart, and social life was far more highly enjoyed than in thickly settled communities, because of the rarity of gatherings for pleasure and social intercourse. Families would oftentimes, by an early start, go ten or fifteen miles to visit friends, such then being considered near neighbors, and return by moonlight to their homes. On these visits the trusty rifle together with the shot-bag and powder-horn were considered necessary accompaniments. The fatigue of such journeys was considered a very small matter. But these were men and women of iron frames and nerves like tempered steel, who breathed the purest of heaven's ozone and drank in the sweet perfumes of a wilderness of flowers. How unlike the brain- and nerve-weary, overworked men and women of today. That was the time when the fleet-footed antelope and deer sped along their narrow paths, where now course the heavy-laden railway trains. Then the ox-wagon with its long team of cattle wended its way by dindy [sic] beaten trails across the country, bringing from the nearest market, sometimes hundreds of miles away, the necessary supplies for the people of this section, and whose arrival at the little village was greeted by a full turnout of the people to see and help about unloading the goods and opening the boxes and barrels. Frequently very amusing scenes and incidents would occur on such occasions. One such mentioned here will not be inappropriate. There was a noted character, George Stamps, who lived at the old town of Preston, on Red River, who kept a little all-sorts stock of general merchandise, "dry goods, groceries, hardware, drugs, tar, turpentine and testaments," as his bulletin-board read, and in addition had a barrel of whiskey always on tap. One Christmas season Stamps concluded he wanted something extra, and ordered from the Alexander Brothers, of Bonham, "a lot of everything good for Christmas." The goods came and likewise the crowd to see them opened. Everything went well until a small brown box marked "cod-fish" was reached. The odor of the box called forth strong expletives of disgust from Stamps, who swore the thing was "spite," and after passing it through the crowd for proof of his judgment, it was returned so marked and credit demanded for it. While there were many inconveniences to be encountered in regard to freights and passenger travel, it is a well-known fact that in the early days of Grayson County, such things as a robbery or interference of any kind with goods in transit, or persons traveling through the country alone, was entirely unknown. A case in point, the truth of which will be vouched for by many people living today, will serve a good purpose. George W. Newcome, who lived at Kentucky Town, was a man who dealt largely in lands, and it was often necessary that he should carry large sums of money with him, which being bulky and heavy, he would place in his capacious saddlebags. On his arrival at Sherman he would hitch his horse to the famous old pecan tree that formerly stood on the public square, throw the saddlebags across a limb, go off and transact a day's business and feel that his money was as free from molestation as though locked within the steel vaults of a bank, and would, to use his own language, often never think of it unless it was needed for use. Many other incidents of like character, which will be related in future chapters, in which the names of such men as Frank Richards, Phillip T. Wells, William C. Coffey, and many other early merchants and traders will figure, will serve to tell the story of the sterling honesty of those people of brawny arms and rugged exterior. Merchants would ride over the country for several days at a time, collecting their accounts, and when overtaken at night would stop at the first house they came to, and were never molested, although they would many times have thousands of dollars with them, and that fact well known to many persons. When through with collecting and ready to start to market, their money, chiefly gold and silver, would be placed in a pair of saddlebags and strapped across a mule, and they would start on their journey. It was no uncommon thing when these starts were made for half the men in the town to be present and bid them good-bye. So it will be seen that, while the pioneers were a rough and uncultivated people, they were honest. These are a few of the characteristics of the men and women whose biographies will be told in the pages of this little book and its followers, and no more pleasing task has ever fallen to the hands of the writer than this effort to perpetuate their memories in a form that generations yet unborn may know their lives and, as far as possible, their features as well. Biographic Sketches
George C. Dugan
George C. Dugan was born in
Jefferson County, Missouri, October 7, 1812, eight
years before that territory was submitted as a state of the union. His
was Daniel Dugan, a native of Virginia, and his mother was Catherine
Vaden, a
native of Kentucky. Thus, too, he was born a pioneer. The family in
1816 moved
to Illinois, where George went to school, and acquired such knowledge
of books
as could be obtained in the log cabin, puncheon floor[ed] schoolhouse
of the
western border. In later
years the family removed to Arkansas, from which state Mr. Dugan removed to Texas in 1835, first into what is now Fannin County, and in 1837 [he] moved to the well-known Dugan place on Choctaw Creek in Grayson County. Those days were [ones] of watchfulness for the pioneers, and all work was done with a sentinel on the watch for the Indians. In 1844, Daniel Dugan, an uncle of George C., with another young man, were surprised and killed by Indians. Not long afterward they attacked his father's house and killed a young man who was lying in bed with his brother. His father returned the fire and killed an Indian. The Indians, while attempting to steal the horses from the stable, were entrapped by George and his brother William, who killed three of them. These are but a few of the many tilts of the Dugan family with the redskins, but they held their ground and never flinched, no matter how hot the conflict. On the 7th of January, 1849, George C. Dugan was married to Miss Harriet Walls, a native of Kentucky. She was a practical woman, and was a great help to her husband's success in accumulating property. Mr. Dugan was a thorough and sagacious farmer, and by good management accumulated quite a fortune previous to the Civil War. When the war closed, Mr. Dugan removed to Sherman and commenced merchandising. After five years in the business, he retired, and turned his attention to land and livestock affairs. Mr. Dugan died, January 5th, 1881, at his home in Sherman. Two sons and four daughters still survive, most of whom are residents of Grayson County. ![]() William D. Fitch William D.
Fitch, the first [sic] County Clerk of Grayson County, was born in
Alabama, May 20th, 1821. From that state his father removed to Texas,
in 1844,
locating first at old Fort Warren on Red River, where he remained one
removing from there into what is now Grayson County, locating near
White Mound.
About this time the Mexican War came on, and William and his brother
enlisted and went to the front as member of Capt. Dan Montague's
company. At
the close of the war they returned home and when Grayson County was
in 1847, William D. Fitch was elected County Clerk, in which capacity
![]() James P. Dumas James
P. Dumas was born September 20th, 1820, in Greenville District, South
Carolina. He moved to Texas in 1841, settling in Milam County, where he
till 1843, when he moved to the falls of the Brazos and resided there
till June
1844, when he moved to the present site of Dallas, building the third
house at
that place and laying off the original town. Leaving Dallas July 20th,
when he moved to Sister Grove, Grayson County, where he lived till his
which took place on February 1st, 1875. James P. Dumas was married in
County, Alabama, on April 13th, 1844, to Mary A. E. Thompson, who still
survives him. He enlisted as a volunteer in Montagne's company and
served in
the Mexican War. Mr. Dumas was prominent in the early settlement of
County, and the records attest of much work on his part in the
establishment of
the boundaries of many of the original surveys in the county. He was a
man of
thrifty habits, and by careful watchfulness, amassed quite a fortune,
principally in lands.
![]() Ambrose B. White Capt. Ambrose B. White was born in Ohio, October 24th, 1811; his early days were spent in Illinois near Springfield. When the Black Hawk War broke out in 1832, he shouldered his gun to defend the pioneers against the blood-thirsty savages, and fought bravely with his comrades until the war closed. But in the midst of the carnage was a young lady who was destined to be his wife. Through a long day's hard fighting she molded bullets for him while he shot Indians. This lady's name was A. E. Murdah, and after the close of the war, on the 20th of June 1833, they were married. Capt.
White founded the town of Whitesboro and at the time of his death held
the office of Mayor, an office which he had filled many times since the
incorporation of the town. When he settled where the town of Whitesboro
he found himself in
![]() Col. George R. Reeves The
ancestors of Col. Reeves migrated from Ireland to the United States
the year 1794, and located in South Carolina, where his father, William
Reeves, was born in 1796. After the death of his parents, William S.
Reeves, at
the age of three years, was taken to Nashville, Tennessee, then a
village, and brought up by an uncle, a pioneer settler. He served in
![]() E. D. Webster Among the earliest settlers of the western portion of Grayson County, was E. D. Webster, who located on Jordon Creek, twenty miles west of where Sherman now stands. Mr. Webster was born in Massachusetts in 1799, from which state he removed to Ohio, which was then a frontier country, in 1815. After he arrived at man's estate he went to Louisiana in 1821, and from there removed to Missouri in 1825, in which year he married Margaret Furman. In 1845 he removed to Texas, opening a farm on Jordon Creek, in what is now Grayson County, where he lived until the 30th of August 1861, at which time he died. His widow died in March 1867. ![]() Dr. James Lafayette Leslie Dr.
J. L. Leslie was perhaps one of the best known and most highly esteemed
physicians who located in northern Texas in the days of its early
He was a native of Alabama, being born in Monroe County in that state
on the
20th day of January, 1825. From that state he removed to Mississippi
located at Carthage, where he commenced the practice of medicine in
1847. In
1848 he married Miss Ellen Louisa Jack, and removed to Lamar County,
Texas, in
1850. Removing again in 1852, he located in Mantua, Collin County, and
upon the
establishment of the town Van Alstyne in 1873, he located in that
place, and
![]() Thomas C. Roberts Thomas
C. Roberts was born in McMinn County, Tennessee, August 3d, 1823. Was
married to Nancy P. Miller in 1844.
![]() M. L. Webster M.
L. Webster, who has for many years been conspicuous in the upbuilding
of the
town of Whitesboro, was born in Ralls County, Missouri, July 1st, 1826.
He came
with his father to Texas in 1845, locating on Jordon Creek in what is
Grayson County. In 1846 he was ordered by the governor to raise a
company of
militia, of which he was elected captain, but the war
![]() Joshua West When
Grayson County was organized, it appears that in the selection of
the people looked for honest and capable men, and the men thus chosen
show in
their characters that but little thought was had that there would be
any need
for that heroic courage now deemed so necessary, especially in
officers. Particularly does this seem apparent in the selection of
their first
sheriff ~ a man as modest and reserved in his manners as a girl. This
man was
Joshua West.
/*
Material: Sb2OsRu
Method: DFT, PBE
State: relaxed

Calculated values
formation energy without anion corrections: 28.6 kJ per mole of atoms
volume: 143.41 Å³ per cell
excess energy over the best structure of this formula in the dataset: 0.97 kcal/mol of atoms

Structure (CIF):
```
data_Sb2OsRu
_chemical_formula_sum 'Sb4 Os2 Ru2'
_space_group_name_H-M_alt 'C 1 m 1'
_space_group_IT_number 8
_cell_length_a 9.626
_cell_length_b 3.293
_cell_length_c 4.611
_cell_angle_alpha 90.00
_cell_angle_beta 101.13
_cell_angle_gamma 90.00
loop_
_space_group_symop_operation_xyz
'x,y,z'
'x,-y,z'
'x+1/2,y+1/2,z'
'x+1/2,-y+1/2,z'
loop_
_atom_site_label
_atom_site_type_symbol
_atom_site_fract_x
_atom_site_fract_y
_atom_site_fract_z
_atom_site_occupancy
Sb1 Sb 0.000 0.000 0.000 1
Sb2 Sb 0.245 0.000 0.596 1
Os1 Os 0.231 0.500 0.093 1
Ru1 Ru 0.015 0.500 0.510 1
```

Material: LiCa2InN
Method: DFT, PBE
State: relaxed

Calculated values
formation energy without anion corrections: -41.6 kJ per mole of atoms
volume: 106.77 Å³ per cell

Structure (CIF):
```
data_LiCa2InN
_chemical_formula_sum 'Li1 Ca2 In1 N1'
_space_group_name_H-M_alt 'P 4/m m m'
_space_group_IT_number 123
_space_group_name_Hall '-P 4 2'
_cell_length_a 4.943
_cell_length_b 4.943
_cell_length_c 4.369
_cell_angle_alpha 90.00
_cell_angle_beta 90.00
_cell_angle_gamma 90.00
loop_
_atom_site_label
_atom_site_type_symbol
_atom_site_fract_x
_atom_site_fract_y
_atom_site_fract_z
_atom_site_occupancy
Li1 Li 0.000 0.000 0.000 1
Ca1 Ca 0.000 0.500 0.500 1
In1 In 0.500 0.500 0.000 1
N1 N 0.000 0.000 0.500 1
```


No. 1
DFT (PBE) results for a relaxed structure of Sr3TaSi.

* total moment: 0.00 μB per formula unit
* mass density: 4.0 g/cm3
* formation energy (no corrections): 1.284 eV per atom
* crystal system: cubic

Unit cell a=5.8073 b=5.8073 c=5.8073 alpha=90.00 beta=90.00 gamma=90.00
Closest atoms and distances in Å follow each position.
Space group Pm-3m (No. 221)
Unique sites:
Sr 0.0000 0.0000 0.5000 [3 per cell]  2 Ta 2.90
Ta 0.0000 0.0000 0.0000 [1 per cell]  6 Sr 2.90
Si 0.5000 0.5000 0.5000 [1 per cell]  12 Sr 4.11

---

No. 2
DFT (PBE) results for a relaxed structure of SrTa2Si.

* total moment: 0.00 μB per formula unit
* mass density: 9.8 g/cm3
* formation energy (no corrections): 0.731 eV per atom
* crystal system: monoclinic

Unit cell a=6.0031 b=10.2148 c=2.9159 alpha=90.00 beta=114.59 gamma=90.00
Closest atoms and distances in Å follow each position.
Space group C2/m (No. 12)
Unique sites:
Sr 0.0000 0.0000 0.0000 [2 per cell]  2 Sr 2.92, 4 Si 3.00-3.20, 4 Ta 3.01
Ta 0.2500 0.2500 0.5000 [4 per cell]  6 Ta 2.92-3.20, 2 Sr 3.01, 2 Si 3.01
Si 0.0000 0.5000 0.0000 [2 per cell]  2 Si 2.92, 4 Sr 3.00-3.20, 4 Ta 3.01

---

No. 3
DFT (PBE) results for a relaxed structure of SrTa2Si.

* total moment: 0.00 μB per formula unit
* mass density: 9.7 g/cm3
* formation energy (no corrections): 0.688 eV per atom
* crystal system: tetragonal

Unit cell a=4.8544 b=4.8544 c=6.9141 alpha=90.00 beta=90.00 gamma=90.00
*/
Here the piece continues.
![]() Thomas W. Randolph When
the biographer attempts to write of the lives of those he knew best and
moved most, the task is one of the hardest, as
![]() Benjamin F. Christian When
a man dies and those who knew him all say he was a good man, and his
has been worthy to be an example for every young man, then those who
knew him
not will appreciate anything that will perpetuate the memory of such a
character. Such a man was Benjamin F. Christian, who first saw the
light in
Tennessee about the year 1814. He came to Texas in 1844 and settled in
County. He removed from there to Bonham shortly afterward, and married
daughter of Capt. Mabel Gilbert. In 1858, he located in Sherman and
engaged in
the hotel business. His wife died in 1863, and in 1864 he was married
to Miss
____________
(1)
## K2HoMnSe4 (PBE)

Data for K2HoMnSe4 after structural relaxation.

a b c (Å): 7.1774 3.9912 8.0839
angles (deg): 90.00 108.37 90.00
Space group P2/m (No. 10)
Asymmetric unit:
1 K 0.0000 0.0000 0.0000 x1
2 K 0.5000 0.5000 0.0000 x1
3 Ho 0.0000 0.5000 0.5000 x1
4 Mn 0.5000 0.0000 0.5000 x1
5 Se 0.2324 0.0000 0.7130 x2
6 Se 0.3002 0.5000 0.3240 x2

E_form (uncorrected) in kJ/mol of formula units: -926
Electronic total energy in eV per atom: -4.934

---

(2)
## K3Ho3MnSe8 (PBE)

Data for K3Ho3MnSe8 after structural relaxation.

a b c (Å): 8.1366 8.1366 23.5070
angles (deg): 90.00 90.00 120.00
Space group R-3m (No. 166, hexagonal axes)
Asymmetric unit:
1 K 0.0000 0.5000 0.0000 x9
2 Ho 0.0000 0.5000 0.5000 x9
3 Mn 0.0000 0.0000 0.5000 x3
4 Se 0.0000 0.0000 0.2351 x6
5 Se 0.0306 0.5153 0.2294 x18

E_form (uncorrected) in kJ/mol of formula units: -2080
Electronic total energy in eV per atom: -5.042

---

(3)
## KHoMnSe3 (PBE)

Data for KHoMnSe3 after structural relaxation.

a b c (Å): 9.0409 4.2058 9.8706
angles (deg): 90.00 107.59 90.00
Space group P2_1/m (No. 11)
Asymmetric unit:
1 K 0.2066 0.2500 0.2322 x2
2 Ho 0.3327 0.7500 0.8605 x2
3 Mn 0.0864 0.2500 0.6091 x2
4 Se 0.1127 0.2500 0.8641 x2
5 Se 0.2090 0.7500 0.5382 x2
6 Se 0.4611 0.7500 0.1587 x2

E_form (uncorrected) in kJ/mol of formula units: -749
Electronic total energy in eV per atom: -5.510

---

(4)
## K3Ho3MnTe8 (PBE)

Data for K3Ho3MnTe8 after structural relaxation.

a b c (Å): 8.6885 8.6885 25.3626
angles (deg): 90.00 90.00 120.00
Space group R-3m (No. 166, hexagonal axes)
Asymmetric unit:
1 K 0.0000 0.5000 0.0000 x9
2 Ho 0.0000 0.5000 0.5000 x9
3 Mn 0.0000 0.0000 0.5000 x3
4 Te 0.0000 0.0000 0.2364 x6
5 Te 0.0272 0.5136 0.2308 x18

E_form (uncorrected) in kJ/mol of formula units: -1570
Electronic total energy in eV per atom: -4.506

---

(5)
## K2HoMnTe4 (PBE)

Data for K2HoMnTe4 after structural relaxation.

a b c (Å): 8.9226 9.1142 13.2218
angles (deg): 90.00 90.00 90.00
Space group Imma (No. 74)
Asymmetric unit:
1 K 0.0000 0.0000 0.0000 x4
2 K 0.2500 0.2500 0.2500 x4
3 Ho 0.0000 0.0000 0.5000 x4
4 Mn 0.2500 0.2500 0.7500 x4
5 Te 0.0000 0.0570 0.7383 x8
6 Te 0.2273 0.2500 0.5093 x8

E_form (uncorrected) in kJ/mol of formula units: -664
Electronic total energy in eV per atom: -4.424

---

(6)
## K4Ho3MnTe8 (PBE)

Data for K4Ho3MnTe8 after structural relaxation.

a b c (Å): 8.8280 8.8280 24.7182
angles (deg): 90.00 90.00 120.00
Space group R-3m (No. 166, hexagonal axes)
Asymmetric unit:
1 K 0.0000 0.0000 0.0000 x3
2 K 0.0000 0.5000 0.0000 x9
3 Ho 0.0000 0.5000 0.5000 x9
4 Mn 0.0000 0.0000 0.5000 x3
5 Te 0.0000 0.0000 0.2368 x6
6 Te 0.0160 0.5080 0.2331 x18

E_form (uncorrected) in kJ/mol of formula units: -1754
Electronic total energy in eV per atom: -4.413

* * * * *

# 1
SiGeAs2 after structural relaxation. Source: Alexandria via LeMat-Bulk, functional PBE-GGA.

Geometry as POSCAR:
```
SiGeAs2
1.0
-1.540 -0.655 4.367
-3.295 2.812 1.764
-4.320 -1.634 0.736
As Si Ge
2 1 1
direct
____________
![]() John R. Diamond John
R. Diamond was born in DeKalb County, Georgia, May 14th, 1820, and died
the city of Whitesboro, Grayson County, Texas, October 5th, 1880. John
Diamond became a pioneer late in the '40s after the Mexican War, and
with his
young family removed to Pontotoc County, Mississippi. From thence he
removed to
Rusk County, Texas, and continuing westward he next settled in Collin
But in 1852, preempted and settled on what is now known as the J. R.
Peters' Colony Headright, one mile west of Whitesboro. Here he
announced to his
family that he had found the country for which he had been looking, and
they would be called on to move no more.
![]() Henry C. Ritchey Biographical
sketches of the old pioneers who settled on the
"divide," where Whitesboro has since been built, would be incomplete
without recording the name of Henry C. Ritchey. In looking over the Whitesboro
News, of the second day of September, 1882, we find "that
Henry C.
Ritchey was born in the state of Kentucky in the year 1821. He came to
Texas in
the year 1834, with the families of the Ritcheys, the Latimers, the
Dixons, and
the Foremans, who have all done so much for the Republic, and state of
since those early days of pioneer toil and hardships; all of whom first
their homes in Red River county. He was married in the month of
October, 1845,
to Miss M. S. Gilliam, who with their two sons Charles E. and Joseph C.
Records of crystals that have nothing to do with the piece =
- - -
DFT (PBE) results for an optimized crystal structure of CaDy2Ga3.

Unit cell a=3.584 b=3.584 c=10.950 alpha=90.00 beta=90.00 gamma=90.00
Sites, in units of the cell vectors:
Ca (0.000, 0.000, 0.000)
Dy (0.000, 0.000, 0.334)
Dy (0.000, 0.000, 0.666)
Ga (0.500, 0.500, 0.174)
Ga (0.500, 0.500, 0.500)
Ga (0.500, 0.500, 0.826)

Calculated values
**Final energy**: -0.2874 Ry/atom

=====

DFT (PBE) results for an optimized crystal structure of TlCoC2.

Unit cell a=6.029 b=6.029 c=6.029 alpha=128.41 beta=128.41 gamma=75.96
Sites, in units of the cell vectors:
Tl (0.375, 0.625, 0.750)
Tl (0.625, 0.375, 0.250)
Co (0.125, 0.875, 0.250)
Co (0.875, 0.125, 0.750)
C (0.000, 0.000, 0.000)
C (0.000, 0.000, 0.500)
C (0.000, 0.500, 0.000)
C (0.500, 0.000, 0.500)

Calculated values
**Final energy**: -0.4252 Ry/atom
**Relative energy among the computed polymorphs**: 0 kJ/mol of formula units

=====

DFT (PBE) results for an optimized crystal structure of NaSrPd.

Unit cell a=5.113 b=5.113 c=5.113 alpha=60.00 beta=60.00 gamma=60.00
Sites, in units of the cell vectors:
Na (0.000, 0.000, 0.000)
Sr (0.500, 0.500, 0.500)
Pd (0.750, 0.750, 0.750)

Calculated values
**Final energy**: -0.2178 Ry/atom
**Relative energy among the computed polymorphs**: 43 kJ/mol of formula units

=====

DFT (PBE) results for an optimized crystal structure of Ti2CuAgAs.

Unit cell a=4.996 b=4.996 c=4.715 alpha=90.00 beta=90.00 gamma=90.00
Sites, in units of the cell vectors:
Ti (0.000, 0.500, 0.000)
Ti (0.500, 0.000, 0.000)
Cu (0.000, 0.000, 0.500)
Ag (0.500, 0.500, 0.000)
As (0.500, 0.500, 0.500)

Calculated values
**Final energy**: -0.3123 Ry/atom

=====

DFT (PBE) results for an optimized crystal structure of FeTc.

Unit cell a=3.726 b=3.726 c=5.050 alpha=90.00 beta=90.00 gamma=120.00
Sites, in units of the cell vectors:
Fe (0.333, 0.667, 0.250)
Fe (0.667, 0.333, 0.750)
Tc (0.000, 0.000, 0.000)
Tc (0.000, 0.000, 0.500)

Calculated values
**Final energy**: -0.6273 Ry/atom

=====

DFT (PBE) results for an optimized crystal structure of BaLa3V.

Unit cell a=5.717 b=5.717 c=5.717 alpha=90.00 beta=90.00 gamma=90.00
Sites, in units of the cell vectors:
Ba (0.000, 0.000, 0.000)
La (0.000, 0.500, 0.500)
La (0.500, 0.000, 0.500)
La (0.500, 0.500, 0.000)
V (0.500, 0.500, 0.500)

Calculated values
**Final energy**: -0.3542 Ry/atom

~~~~~

Model i:
Material: TaRhCl
Method: DFT, GGA-PBEsol
State: optimized geometry

Its theoretical density is 11.7 g cm⁻³. The volume is 45.5 Å³/f.u.

The structure belongs to space group P-6m2 (No. 187); the cell edges are 4.2314, 4.2314 and 2.9332 Å and the angles 90.00°, 90.00° and 120.00°. The distinct sites, in fractional coordinates, are Ta at (0.0000, 0.0000, 0.0000), Rh at (0.3333, 0.6667, 0.5000) and Cl at (0.6667, 0.3333, 0.0000).


Model ii:
Material: TaRhCl
Method: DFT, GGA-PBEsol
State: optimized geometry

Its theoretical density is 9.9 g cm⁻³. The volume is 53.6 Å³/f.u.
- - -
survive him."
![]() Overton Love Among
the prominent characters who figured in the early settlement of Grayson
County was Overton (Sobe) Love, now a resident of the Indian Territory,
he stands in the front rank of progressive and substantial citizens.
Judge Love
has always felt and manifested the greatest interest in the prosperity
advancement of the Territory and of Texas, and the many trusts he has
confided to him show that the people of both countries have confidence
in his
sound judgment and business integrity. He has for many years held the
of Judge of the Supreme Court of the Chickasaw Nation. The recent large
of money paid out in the Territory by the general government, was due
in a
great measure to his untiring efforts.
![]() Col. Matthew Leeper Col.
Matthew Leeper was born at Lincolnton, North Carolina, in 1804, and was
the son of a soldier of the Revolutionary War. From his native state he
to Tennessee, and from thence to Fayetteville, Arkansas, in 1829, at
place he held the responsible position of [federal] receiver of public
through every administration from Andrew Jackson to Zachary Taylor. He
married at Fayetteville, Arkansas, to Miss Lucy Washington, a
descendant of the
family from which sprang the immortal George Washington.
![]() Benjamin F. Savage Benjamin F. Savage was born in Cooper County, Mississippi, April 5th, 1827. Moved from Dade County, Missouri, to Grayson County, Texas, in the autumn of 1846, where he has resided ever since. He was married to Miss Martha D. Pitman, July 26th, 1849. They have nine living children, thirty-four grandchildren and two great-grandchildren. He has followed farming and stock raising for a living. He is now Justice of the Peace, and living in Whitesboro. For the past thirty-five years he has been a member of the Masonic Fraternity. Has been a life-long Democrat. He is now vice-president of the Old Settlers Association. ![]() Charles Wheelock Charles Wheelock, one of the first settlers of what is now Grayson County, moved to Texas in 1844 and located on Jordon Creek about twenty miles west of the present site of Sherman. At that time all this country was a portion of Fannin County, and Bonham was the county site [seat]. He died on the same place in 1848. His widow removed to Cooke County and died shortly thereafter. Note : A sketch of the life of Judge J. G. Thompson will appear in part II. ![]() Biography Index Copyright © 2025, TXGenWeb. If you find any of Grayson County, TXGenWeb links inoperable, please send me a message. |